### Assignment
Duplicate the material below without altering anything, please.

### Material
+++
1.
{
  "formula": "C13H15N3O6",
  "method": "ωB97M-V/def2-TZVPD",
  "e_tot_ha": -1120.0230,
  "orbital_gap_ev": 8.3000,
  "smiles": "Nc1ccc(C(=O)OCC(=O)N2CCOCC2)cc1[N+](=O)[O-]",
  "homo_energy_ev": -9.0,
  "charge": 0,
  "e_above_lowest_kj_mol": 0.0,
  "e_lumo_ev": -0.697,
  "largest_force_ev_per_a": 1.22,
  "species": ["N", "C", "C", "C", "C", "C", "C", "N", "O", "O", "H", "C", "O", "O", "C", "H", "H", "C", "O", "N", "C", "H", "C", "O", "C", "H", "C", "H", "H", "H", "H", "H", "H", "H", "H", "H", "H"],
  "positions_angstrom": [[-5.52946, -0.72225, -0.33648], [-4.38243, -0.04522, -0.19751], [-4.40037, 1.36419, -0.09986], [-3.25215, 2.09089, 0.04488], [-2.00204, 1.45147, 0.10503], [-1.95166, 0.07657, 0.00829], [-3.11455, -0.67899, -0.13981], [-2.96056, -2.08904, -0.22974], [-1.83769, -2.54888, -0.16426], [-3.95889, -2.78685, -0.36703], [-1.00835, -0.44601, 0.03751], [-0.78226, 2.27622, 0.25358], [-0.76719, 3.48017, 0.23878], [0.30830, 1.50763, 0.41915], [1.57880, 2.14833, 0.47290], [1.47655, 3.18993, 0.15242], [1.94893, 2.11693, 1.50365], [2.55602, 1.44186, -0.47493], [3.06742, 2.03547, -1.40262], [2.80312, 0.14394, -0.21564], [2.32245, -0.59626, 0.93706], [2.93754, -0.36419, 1.81764], [2.41175, -2.09182, 0.64180], [3.73852, -2.51947, 0.41270], [4.54710, -1.54765, -0.22585], [5.25686, -2.09457, -0.85176], [3.73334, -0.57678, -1.07056], [4.38121, 0.15547, -1.55687], [3.18429, -1.12268, -1.84626], [5.11390, -0.98521, 0.53152], [1.77830, -2.33088, -0.22441], [2.05035, -2.66701, 1.49742], [1.28686, -0.33617, 1.15206], [-3.27851, 3.16742, 0.11488], [-5.35801, 1.86101, -0.14484], [-6.40185, -0.22643, -0.37978], [-5.49564, -1.73115, -0.41304]],
  "atomic_forces_ev_per_a": [[-0.42, -0.26, -0.05], [0.35, -0.24, 0.01], [0.07, 0.04, 0.01], [0.11, -0.19, -0.01], [-0.11, -0.19, -0.04], [-0.04, 0.11, 0.01], [-0.08, 1.22, 0.07], [0.26, -0.57, -0.01], [0.08, -0.19, -0.01], [-0.11, -0.21, -0.03], [-0.02, 0.03, 0.01], [-0.17, 0.23, 0.01], [0.00, -0.12, 0.02], [0.02, -0.29, -0.04], [0.33, 0.54, -0.13], [0.13, -0.29, 0.08], [-0.09, 0.00, -0.08], [-0.43, 0.15, 0.29], [0.07, 0.31, -0.20], [0.14, -0.35, -0.12], [-0.03, -0.24, 0.34], [-0.12, -0.07, 0.00], [-0.23, 0.11, 0.11], [0.01, -0.11, 0.04], [0.15, 0.20, -0.16], [-0.03, 0.13, 0.04], [0.26, -0.13, -0.11], [-0.06, -0.16, 0.03], [0.10, 0.05, -0.02], [-0.03, -0.05, -0.11], [0.03, 0.03, 0.10], [-0.06, 0.12, -0.09], [0.09, -0.06, 0.05], [-0.05, 0.10, 0.00], [-0.09, 0.06, 0.00], [0.06, -0.02, 0.00], [-0.07, 0.31, 0.02]]
}

=====

2.
{
  "formula": "C4H7N3O",
  "method": "ωB97M-V/def2-TZVPD",
  "e_tot_ha": -395.9795,
  "orbital_gap_ev": 9.5439,
  "homo_energy_ev": -8.9,
  "charge": 0,
  "e_above_lowest_kj_mol": 443.6,
  "e_lumo_ev": 0.674,
  "largest_force_ev_per_a": 12.94,
  "species": ["C", "C", "C", "C", "H", "H", "H", "H", "H", "H", "H", "N", "N", "N", "O"],
  "positions_angstrom": [[-2.65344, 0.11995, 0.10865], [-0.15597, -0.36668, -0.12951], [1.72051, -1.03763, 0.00716], [0.46245, 0.69416, -0.10234], [-2.21343, 1.26739, 0.05558], [-3.68255, 0.11298, -0.34088], [-2.91837, 0.18791, 1.29318], [-1.47726, -1.65504, 0.39719], [2.69170, -1.60657, 0.29939], [0.68846, 2.62235, -0.77230], [1.11081, 2.11021, 0.92326], [-1.57186, -0.82852, -0.34363], [0.56354, -1.60371, 0.16957], [0.28238, 2.12436, 0.07485], [1.83011, 0.33214, -0.05809]],
  "atomic_forces_ev_per_a": [[0.69, 3.76, 2.70], [-9.27, -9.02, 0.41], [3.31, -2.20, 2.89], [4.43, 7.55, -0.48], [-1.20, -2.84, -0.50], [1.44, -0.54, -0.30], [0.93, -0.93, -2.41], [-1.15, 1.94, -2.39], [-1.58, 1.33, -1.06], [-0.42, -0.77, 1.52], [-2.90, 1.41, -2.94], [0.68, -0.25, 3.47], [2.07, 4.19, -2.36], [3.27, -1.41, 1.65], [-0.31, -2.23, -0.19]]
}


(1)
This record from the Open Molecules 2025 dataset describes a cluster of 14 separate species, C19H66N8O14 in total at a distorted geometry. The level of theory is the ωB97M-V functional and the def2-TZVPD basis.

Each line ends with the Mulliken charge.
CARTESIAN COORDINATES (ANGSTROEM)
C -3.5335 0.5157 -4.2265  -0.384
+++

### Solution
1.
{
  "formula": "C13H15N3O6",
  "method": "ωB97M-V/def2-TZVPD",
  "e_tot_ha": -1120.0230,
  "orbital_gap_ev": 8.3000,
  "smiles": "Nc1ccc(C(=O)OCC(=O)N2CCOCC2)cc1[N+](=O)[O-]",
  "homo_energy_ev": -9.0,
  "charge": 0,
  "e_above_lowest_kj_mol": 0.0,
  "e_lumo_ev": -0.697,
  "largest_force_ev_per_a": 1.22,
  "species": ["N", "C", "C", "C", "C", "C", "C", "N", "O", "O", "H", "C", "O", "O", "C", "H", "H", "C", "O", "N", "C", "H", "C", "O", "C", "H", "C", "H", "H", "H", "H", "H", "H", "H", "H", "H", "H"],
  "positions_angstrom": [[-5.52946, -0.72225, -0.33648], [-4.38243, -0.04522, -0.19751], [-4.40037, 1.36419, -0.09986], [-3.25215, 2.09089, 0.04488], [-2.00204, 1.45147, 0.10503], [-1.95166, 0.07657, 0.00829], [-3.11455, -0.67899, -0.13981], [-2.96056, -2.08904, -0.22974], [-1.83769, -2.54888, -0.16426], [-3.95889, -2.78685, -0.36703], [-1.00835, -0.44601, 0.03751], [-0.78226, 2.27622, 0.25358], [-0.76719, 3.48017, 0.23878], [0.30830, 1.50763, 0.41915], [1.57880, 2.14833, 0.47290], [1.47655, 3.18993, 0.15242], [1.94893, 2.11693, 1.50365], [2.55602, 1.44186, -0.47493], [3.06742, 2.03547, -1.40262], [2.80312, 0.14394, -0.21564], [2.32245, -0.59626, 0.93706], [2.93754, -0.36419, 1.81764], [2.41175, -2.09182, 0.64180], [3.73852, -2.51947, 0.41270], [4.54710, -1.54765, -0.22585], [5.25686, -2.09457, -0.85176], [3.73334, -0.57678, -1.07056], [4.38121, 0.15547, -1.55687], [3.18429, -1.12268, -1.84626], [5.11390, -0.98521, 0.53152], [1.77830, -2.33088, -0.22441], [2.05035, -2.66701, 1.49742], [1.28686, -0.33617, 1.15206], [-3.27851, 3.16742, 0.11488], [-5.35801, 1.86101, -0.14484], [-6.40185, -0.22643, -0.37978], [-5.49564, -1.73115, -0.41304]],
  "atomic_forces_ev_per_a": [[-0.42, -0.26, -0.05], [0.35, -0.24, 0.01], [0.07, 0.04, 0.01], [0.11, -0.19, -0.01], [-0.11, -0.19, -0.04], [-0.04, 0.11, 0.01], [-0.08, 1.22, 0.07], [0.26, -0.57, -0.01], [0.08, -0.19, -0.01], [-0.11, -0.21, -0.03], [-0.02, 0.03, 0.01], [-0.17, 0.23, 0.01], [0.00, -0.12, 0.02], [0.02, -0.29, -0.04], [0.33, 0.54, -0.13], [0.13, -0.29, 0.08], [-0.09, 0.00, -0.08], [-0.43, 0.15, 0.29], [0.07, 0.31, -0.20], [0.14, -0.35, -0.12], [-0.03, -0.24, 0.34], [-0.12, -0.07, 0.00], [-0.23, 0.11, 0.11], [0.01, -0.11, 0.04], [0.15, 0.20, -0.16], [-0.03, 0.13, 0.04], [0.26, -0.13, -0.11], [-0.06, -0.16, 0.03], [0.10, 0.05, -0.02], [-0.03, -0.05, -0.11], [0.03, 0.03, 0.10], [-0.06, 0.12, -0.09], [0.09, -0.06, 0.05], [-0.05, 0.10, 0.00], [-0.09, 0.06, 0.00], [0.06, -0.02, 0.00], [-0.07, 0.31, 0.02]]
}

=====

2.
{
  "formula": "C4H7N3O",
  "method": "ωB97M-V/def2-TZVPD",
  "e_tot_ha": -395.9795,
  "orbital_gap_ev": 9.5439,
  "homo_energy_ev": -8.9,
  "charge": 0,
  "e_above_lowest_kj_mol": 443.6,
  "e_lumo_ev": 0.674,
  "largest_force_ev_per_a": 12.94,
  "species": ["C", "C", "C", "C", "H", "H", "H", "H", "H", "H", "H", "N", "N", "N", "O"],
  "positions_angstrom": [[-2.65344, 0.11995, 0.10865], [-0.15597, -0.36668, -0.12951], [1.72051, -1.03763, 0.00716], [0.46245, 0.69416, -0.10234], [-2.21343, 1.26739, 0.05558], [-3.68255, 0.11298, -0.34088], [-2.91837, 0.18791, 1.29318], [-1.47726, -1.65504, 0.39719], [2.69170, -1.60657, 0.29939], [0.68846, 2.62235, -0.77230], [1.11081, 2.11021, 0.92326], [-1.57186, -0.82852, -0.34363], [0.56354, -1.60371, 0.16957], [0.28238, 2.12436, 0.07485], [1.83011, 0.33214, -0.05809]],
  "atomic_forces_ev_per_a": [[0.69, 3.76, 2.70], [-9.27, -9.02, 0.41], [3.31, -2.20, 2.89], [4.43, 7.55, -0.48], [-1.20, -2.84, -0.50], [1.44, -0.54, -0.30], [0.93, -0.93, -2.41], [-1.15, 1.94, -2.39], [-1.58, 1.33, -1.06], [-0.42, -0.77, 1.52], [-2.90, 1.41, -2.94], [0.68, -0.25, 3.47], [2.07, 4.19, -2.36], [3.27, -1.41, 1.65], [-0.31, -2.23, -0.19]]
}


(1)
This record from the Open Molecules 2025 dataset describes a cluster of 14 separate species, C19H66N8O14 in total at a distorted geometry. The level of theory is the ωB97M-V functional and the def2-TZVPD basis.

Each line ends with the Mulliken charge.
CARTESIAN COORDINATES (ANGSTROEM)
C -3.5335 0.5157 -4.2265  -0.384